
oh man…this album is pretty awful on first listen though. I hope it improves but…IS HE SINGING SPANISH ON THE LAST TRACK?!

== The article is interrupted by calculated crystals ==
********
# 1
A plane-wave DFT calculation with PBE with a Hubbard U was carried out for Gd2W2O9 after structural relaxation.

Computed properties:
V   13.06 Å³/atom
VASP energy   -9.302 eV/atom
Relative energy among the computed polymorphs   0.0400 eV/atom
Total energy after the MP2020 corrections   -271.96 eV per cell
Formation energy from the elements   -2876 meV per atom

Unit cell a=6.815 b=7.195 c=7.432 alpha=69.98 beta=84.93 gamma=83.18
Atoms (fractional coordinates):
Gd  0.117  0.281  0.384
Gd  0.347  0.741  0.845
Gd  0.653  0.259  0.155
Gd  0.883  0.719  0.616
W  0.228  0.266  0.943
W  0.342  0.792  0.363
W  0.658  0.208  0.637
W  0.772  0.734  0.057
O  0.003  0.772  0.906
O  0.139  0.639  0.376
O  0.165  0.503  0.752
O  0.184  0.913  0.532
O  0.232  0.078  0.826
O  0.315  0.426  0.092
O  0.358  0.063  0.203
O  0.464  0.302  0.463
O  0.470  0.729  0.145
O  0.530  0.271  0.855
O  0.536  0.698  0.537
O  0.642  0.937  0.797
O  0.685  0.574  0.908
O  0.768  0.922  0.174
O  0.816  0.087  0.468
O  0.835  0.497  0.248
O  0.861  0.361  0.624
O  0.997  0.228  0.094

# 2
A plane-wave DFT calculation with PBE with a Hubbard U was carried out for Ba2LiSmCoCu2O7 after structural relaxation.

Computed properties:
V   13.94 Å³/atom
VASP energy   -5.949 eV/atom
Relative energy among the computed polymorphs   0.0166 eV/atom
Total energy after the MP2020 corrections   -89.73 eV per cell
Formation energy from the elements   -2095 meV per atom

Unit cell a=3.828 b=12.738 c=4.002 alpha=90.00 beta=90.00 gamma=90.00
Atoms (fractional coordinates):
Ba  0.000  0.214  0.000
Ba  0.000  0.786  0.000
Li  0.000  0.000  0.166
Sm  0.000  0.500  0.016
Co  0.500  0.000  0.577
Cu  0.500  0.379  0.514
Cu  0.500  0.621  0.514
O  0.000  0.382  0.516
O  0.000  0.618  0.516
O  0.500  0.000  0.061
O  0.500  0.145  0.547
O  0.500  0.380  0.015
O  0.500  0.620  0.015
O  0.500  0.855  0.547

# 3
A plane-wave DFT calculation with PBE with a Hubbard U was carried out for Mo2H13CN3O13 after structural relaxation.

Computed properties:
V   10.14 Å³/atom
VASP energy   -5.638 eV/atom
Total energy after the MP2020 corrections   -755.62 eV per cell
Formation energy from the elements   -767 meV per atom

Unit cell a=6.221 b=12.229 c=17.054 alpha=90.00 beta=90.00 gamma=90.00
Atoms (fractional coordinates):
Mo  0.201  0.242  0.140
Mo  0.201  0.242  0.360
Mo  0.201  0.258  0.640
Mo  0.201  0.258  0.860
Mo  0.799  0.742  0.140
Mo  0.799  0.742  0.360
Mo  0.799  0.758  0.640
Mo  0.799  0.758  0.860
H  0.104  0.605  0.544
H  0.104  0.605  0.956
H  0.104  0.895  0.044
H  0.104  0.895  0.456
H  0.115  0.637  0.250
H  0.115  0.863  0.750
H  0.218  0.509  0.250
H  0.218  0.991  0.750
H  0.253  0.595  0.750
H  0.253  0.905  0.250
H  0.292  0.506  0.552
H  0.292  0.506  0.948
H  0.292  0.994  0.052
H  0.292  0.994  0.448
H  0.336  0.625  0.597
H  0.336  0.625  0.903
H  0.336  0.875  0.097
H  0.336  0.875  0.403
H  0.346  0.619  0.002
H  0.346  0.619  0.498
H  0.346  0.881  0.502
H  0.346  0.881  0.998
********

TOTBL is still one if my favourite albums. It's just a great, atmospoheric city album. I'm from London but NYC still gives me shivers.

Hi!I'm back.

I've been doing the same thing as your friend.I think this is a fucking masterpiece. I felt the same at first but after a few listens it completely clicked.it is an astonishingly ambitious album and they only just have enough talent to realise it. That they did demands respect from me.I mean,he had the guts to learn

I agree with Badger.

I think Moon should be in the New New Cult Canon series.

Ah man, they took out the vagina smuggling? That would have made the film SO much better.

In the UK they use that music as the intro to Sky Sports News over clips of happy fans on the way to the football. It really wierded me out for ages. I love football! Saturday's are good! I don't want to be reminded of the most depressing movie I have ever seen!

They clearly didn't have enough time to implement the vast world that they had in mind with all the Mako stuff. There was just nothing of any interest on any of those planets. Hopefully there will be more interesting side mission like Fallout or Oblivion because the main plot arc levels were pretty sweet.

Fahrenheit (Inigo Prophecy) started brilliantly but quickly became a bizarre slog that took away most of the freedom that it initially gave players and became an exercise in pressing buttons to further an increasingly shit story. With the opening diner sequence it tricks you into thinking that its going to be

Taken is a hilariously dumb movie. I particularly like the first 1/2 hour where Neeson's character warns everyone how incredibly dangerous Paris is. Paris! She's not going to fucking Angola! Liam Neeson was right though - goddamn sex traffickers EVERYWHERE. You're lucky if you make it out of the airport.

Can i just say that I am extremely excited about the new Chris Morris film. Yes I am.

Agreed about Colin Farrell for In Bruges.

Awful flashbacks from my teenage years…
…you've got Pure Garage 2 in a list of the greatest electronic music from the past decade?! WTF? Do Americans actually rate Garage as anything but the worst dance movement to ever happen? ok, ok, early Garage was half decent and it went shit when it became mainstream. But that

Obviously this list is gonna be more focused on U.S tv and its understandable leaving stuff like Peep Show out but I'd also like to nominate The Thick of t, which I think is probably the best comedy of the last decade full stop.

# Attached: crystal structures
~~~
1.
Crystalline PrIn2Cl5 at its relaxed geometry. Source: the Materials Project, functional PBE.

Geometry as POSCAR:
```
PrIn2Cl5
1.0
13.009 0.000 0.000
0.000 8.896 0.000
0.000 0.000 8.234
Pr In Cl
4 8 20
direct
0.006 0.250 0.075
0.494 0.750 0.575
0.506 0.250 0.425
0.994 0.750 0.925
0.170 0.009 0.558
0.170 0.491 0.558
0.330 0.509 0.058
0.330 0.991 0.058
0.670 0.009 0.942
0.670 0.491 0.942
0.830 0.509 0.442
0.830 0.991 0.442
0.007 0.250 0.419
0.071 0.544 0.168
0.071 0.956 0.168
0.187 0.250 0.892
0.205 0.750 0.846
0.295 0.250 0.346
0.313 0.750 0.392
0.429 0.044 0.668
0.429 0.456 0.668
0.493 0.750 0.919
0.507 0.250 0.081
0.571 0.544 0.332
0.571 0.956 0.332
0.687 0.250 0.608
0.705 0.750 0.654
0.795 0.250 0.154
0.813 0.750 0.108
0.929 0.044 0.832
0.929 0.456 0.832
0.993 0.750 0.581
```

Computed properties:
Energy of formation: -1953 meV/atom
Total energy: -4.010 eV per atom

=====

2.
Crystalline Rb3InCl6 at its relaxed geometry. Source: the Materials Project, functional PBE.

Geometry as POSCAR:
```
Rb3InCl6
1.0
0.000 5.647 5.647
5.647 0.000 5.647
5.647 5.647 0.000
Rb In Cl
3 1 6
direct
0.000 0.000 0.000
0.250 0.250 0.250
0.750 0.750 0.750
0.500 0.500 0.500
0.275 0.275 0.725
0.275 0.725 0.275
0.275 0.725 0.725
0.725 0.275 0.275
0.725 0.275 0.725
0.725 0.725 0.275
```

Computed properties:
Energy of formation: -1979 meV/atom
Total energy: -3.289 eV per atom

=====

3.
Crystalline RbInCl3 at its relaxed geometry. Source: the Materials Project, functional PBE.

Geometry as POSCAR:
```
RbInCl3
1.0
3.851 -3.860 0.000
3.851 3.860 0.000
-0.022 0.000 5.453
Rb In Cl
1 1 3
direct
0.000 0.000 0.000
0.500 0.500 0.511
0.494 0.494 0.012
0.502 0.998 0.513
0.998 0.502 0.513
```

Computed properties:
Energy of formation: -1734 meV/atom
Total energy: -3.221 eV per atom

=====

4.
Crystalline RbInCl3 at its relaxed geometry. Source: the Materials Project, functional PBE.

Geometry as POSCAR:
```
RbInCl3
1.0
0.000 5.546 5.546
5.546 0.000 5.546
5.546 5.546 0.000
Rb In Cl
2 2 6
direct
0.250 0.250 0.250
0.750 0.750 0.750
0.000 0.000 0.000
0.500 0.500 0.500
0.231 0.231 0.769
0.231 0.769 0.231
0.231 0.769 0.769
0.769 0.231 0.231
0.769 0.231 0.769
0.769 0.769 0.231
```

Computed properties:
Energy of formation: -1771 meV/atom
Total energy: -3.258 eV per atom

=====

5.
Crystalline RbInCl3 at its relaxed geometry. Source: the Materials Project, functional PBE.

Geometry as POSCAR:
```
RbInCl3
1.0
3.849 2.222 6.284
-3.849 2.222 6.284
0.000 -4.445 6.284
Rb In Cl
2 2 6
direct
0.000 0.000 0.000
0.500 0.500 0.500
0.263 0.263 0.263
0.763 0.763 0.763
0.018 0.460 0.568
0.068 0.960 0.518
0.460 0.568 0.018
0.518 0.068 0.960
0.568 0.018 0.460
0.960 0.518 0.068
```

Computed properties:
Energy of formation: -1738 meV/atom
Total energy: -3.225 eV per atom

=====

6.
Crystalline RbInCl3 at its relaxed geometry. Source: the Materials Project, functional PBE.

Geometry as POSCAR:
```
RbInCl3
1.0
5.452 0.000 0.000
-0.003 5.453 0.000
-0.013 -0.028 5.453
Rb In Cl
1 1 3
direct
0.000 0.000 0.000
~~~

I love Willem Defoe…
…but this is one of those interviews that's nothing more than a load of pretentious actor noodle-wank.

Weren't most of the songs that made up the 1st album written before they made the a series and were written to be performed in their stage show? They would be better stand alone songs than those written for specifically for season 2, which were a bit hit or miss. I can't imagine songs like Too many dicks would be

I would say there is a certain Coen Brothers canon that is disputed by very few as utterly brilliant films:

Oh, and brass eye and The Day Today should most definitely be on the list.

Dan? Dan? DAN? DAN?! DAAN?! DAAAN?!!! He hasn't heard me.. DAN!DAN!DAN!